== Wanted ==
Your job: reproduce the lines further down up to the one that holds "-0.1233", that line included.

== Listing ==
/*
# C4H14BNO3PS

A 2-piece molecular cluster, C4H14BNO3PS overall (ωB97M-V/def2-TZVPD, the OMol25 dataset).

Structure (XYZ):
```
25
C4H14BNO3PS | the OMol25 dataset | ωB97M-V/def2-TZVPD
C -0.365 2.288 1.414
C 0.214 1.242 2.374
O 0.266 1.826 3.709
C 1.581 0.718 1.973
B 1.725 0.073 0.474
P 0.717 -1.607 0.364
S 1.497 -3.323 -0.333
H -1.262 1.935 0.902
H -0.629 3.181 1.981
H 0.358 2.546 0.641
H -0.470 0.385 2.434
H -0.263 1.270 4.291
H 1.869 -0.037 2.717
H 2.294 1.545 2.093
H 1.278 0.776 -0.414
H 2.873 -0.228 0.226
H -0.491 -1.376 -0.324
H 0.128 -1.861 1.627
C -2.067 -1.756 -3.966
N -1.036 -0.807 -3.460
O 0.059 -0.839 -3.975
O -1.378 -0.075 -2.556
H -1.625 -2.344 -4.762
H -2.368 -2.373 -3.124
H -2.909 -1.161 -4.308
```

Results
* net charge: -1
* 2S+1: 1
* HOMO energy: -0.1431 hartree
* total energy: -1205.625043 Eh

# C4H14LiN4O5

C4H14LiN4O5 as an isolated structure at a distorted geometry (ωB97M-V/def2-TZVPD, the OMol25 dataset).

Structure (XYZ):
```
28
C4H14LiN4O5 | the OMol25 dataset | ωB97M-V/def2-TZVPD
Li 0.053 -9.021 8.010
O -4.477 -13.208 3.930
C -4.748 -12.556 5.177
C -3.904 -12.854 6.448
O -2.525 -12.533 6.325
H -5.764 -12.872 5.413
H -4.970 -11.495 5.067
H -3.937 -13.882 6.810
H -4.376 -12.414 7.327
C -3.629 -7.766 12.054
O -2.520 -8.076 11.712
N -4.652 -8.609 12.001
N -4.105 -6.594 12.263
H -4.422 -9.592 11.963
H -5.523 -8.336 12.433
H -5.070 -6.562 12.557
H -3.488 -5.795 12.277
C 5.895 -9.110 8.704
O 4.756 -9.105 8.831
N 6.685 -10.065 8.808
N 6.622 -8.021 8.418
H 7.649 -9.864 8.581
H 6.265 -10.979 8.901
H 7.585 -7.966 8.718
H 6.074 -7.176 8.341
O -1.111 -6.266 5.763
H -1.613 -6.463 4.972
H -0.751 -5.393 5.607
```

Results
* net charge: -1
* 2S+1: 1
* HOMO energy: -0.0357 hartree
* total energy: -763.340043 Eh

# C4H14N

A 2-piece molecular cluster, C4H14N overall at a distorted geometry (ωB97M-V/def2-TZVPD, the OMol25 dataset).

Structure (XYZ):
```
19
C4H14N | the OMol25 dataset | ωB97M-V/def2-TZVPD
C -1.314 0.593 -2.966
C -1.786 -0.400 -1.925
H -1.381 0.072 -3.968
H -1.778 1.570 -3.064
H -0.259 0.752 -3.224
H -1.825 -0.109 -0.874
H -2.768 -0.591 -2.380
H -1.178 -1.314 -1.898
C 0.638 -0.190 1.496
C 0.836 -0.814 2.869
N 1.692 0.850 1.136
H 0.814 -0.929 0.707
H -0.334 0.283 1.417
H 1.827 -0.611 3.257
H 0.879 -1.905 2.717
H 2.632 0.392 0.916
H 1.379 1.442 0.349
H 1.916 1.552 1.881
H 0.011 -0.644 3.554
```

Results
* net charge: 0
* 2S+1: 2
* HOMO energy (alpha / beta): -0.1363 / -0.4074 hartree
* <S²>: 0.7506
* total energy: -215.391525 Eh
* energy relative to the best compared isomer or geometry (same formula, charge and spin): 1.105 eV

~~~~~

Entry 1:
The following is a DFT calculation (ωB97M-V/def2-TZVPD) of C35H67BeClCsF4N4O8P as an isolated structure in a non-equilibrium geometry.

Each line ends with the Löwdin charge.
CARTESIAN COORDINATES (ANGSTROEM)
C: -0.3465 -3.5732 2.3432  -0.1349
C: 0.3214 -2.4649 1.3039  -0.2496
C: 0.2865 -0.9303 1.8816  -0.2276
C: -0.8095 0.0571 1.1621  -0.2140
C: -2.3149 -0.1799 1.8404  -0.2004
C: -3.5112 0.5684 1.0036  -0.2032
C: -4.8325 -0.4020 0.7137  -0.1417
C: -4.3506 -1.7500 -0.0904  -0.2428
C: -5.5706 -2.6242 -0.7507  -0.1274
C: -5.9463 -2.1872 -2.2854  -0.2174
C: -6.3119 -0.6028 -2.4901  -0.1378
C: -7.7662 -0.1388 -1.8930  -0.3760
C: -7.7136 1.5315 -1.8230  -0.0827
O: -8.0502 -0.5834 -0.5197  -0.1554
C: -4.5948 -2.4789 -3.1997  -0.1163
N: -3.3018 -2.4609 -2.4152  -0.1319
C: -2.1563 -2.3574 -3.4209  -0.1251
C: -1.3314 -0.9420 -3.3621  -0.1933
C: -0.2370 -0.7253 -4.5666  -0.1535
C: 0.5648 0.7363 -4.4682  -0.1811
O: 1.9951 0.6231 -4.8506  -0.1414
C: 2.6966 1.9084 -4.6719  -0.1233
O: 2.2980 3.0889 -5.1940  -0.0598
C: -3.2417 -1.4437 -1.2973  -0.1057
H: -1.4865 -3.3308 2.4957  0.0692
H: -0.1973 -4.6599 1.9310  0.0695
H: 0.2018 -3.4835 3.3995  0.0936
H: -0.2619 -2.4459 0.2681  0.0876
H: 1.4252 -2.8506 1.0822  0.1149
H: 1.3657 -0.4775 1.7001  0.1117
H: 0.1178 -1.0011 3.0448  0.1148
H: -0.8215 -0.0388 -0.0087  0.0844
H: -0.5037 1.1885 1.3868  0.1216
H: -2.4641 -1.3303 1.9966  0.0849
*/

== Response ==
# C4H14BNO3PS

A 2-piece molecular cluster, C4H14BNO3PS overall (ωB97M-V/def2-TZVPD, the OMol25 dataset).

Structure (XYZ):
```
25
C4H14BNO3PS | the OMol25 dataset | ωB97M-V/def2-TZVPD
C -0.365 2.288 1.414
C 0.214 1.242 2.374
O 0.266 1.826 3.709
C 1.581 0.718 1.973
B 1.725 0.073 0.474
P 0.717 -1.607 0.364
S 1.497 -3.323 -0.333
H -1.262 1.935 0.902
H -0.629 3.181 1.981
H 0.358 2.546 0.641
H -0.470 0.385 2.434
H -0.263 1.270 4.291
H 1.869 -0.037 2.717
H 2.294 1.545 2.093
H 1.278 0.776 -0.414
H 2.873 -0.228 0.226
H -0.491 -1.376 -0.324
H 0.128 -1.861 1.627
C -2.067 -1.756 -3.966
N -1.036 -0.807 -3.460
O 0.059 -0.839 -3.975
O -1.378 -0.075 -2.556
H -1.625 -2.344 -4.762
H -2.368 -2.373 -3.124
H -2.909 -1.161 -4.308
```

Results
* net charge: -1
* 2S+1: 1
* HOMO energy: -0.1431 hartree
* total energy: -1205.625043 Eh

# C4H14LiN4O5

C4H14LiN4O5 as an isolated structure at a distorted geometry (ωB97M-V/def2-TZVPD, the OMol25 dataset).

Structure (XYZ):
```
28
C4H14LiN4O5 | the OMol25 dataset | ωB97M-V/def2-TZVPD
Li 0.053 -9.021 8.010
O -4.477 -13.208 3.930
C -4.748 -12.556 5.177
C -3.904 -12.854 6.448
O -2.525 -12.533 6.325
H -5.764 -12.872 5.413
H -4.970 -11.495 5.067
H -3.937 -13.882 6.810
H -4.376 -12.414 7.327
C -3.629 -7.766 12.054
O -2.520 -8.076 11.712
N -4.652 -8.609 12.001
N -4.105 -6.594 12.263
H -4.422 -9.592 11.963
H -5.523 -8.336 12.433
H -5.070 -6.562 12.557
H -3.488 -5.795 12.277
C 5.895 -9.110 8.704
O 4.756 -9.105 8.831
N 6.685 -10.065 8.808
N 6.622 -8.021 8.418
H 7.649 -9.864 8.581
H 6.265 -10.979 8.901
H 7.585 -7.966 8.718
H 6.074 -7.176 8.341
O -1.111 -6.266 5.763
H -1.613 -6.463 4.972
H -0.751 -5.393 5.607
```

Results
* net charge: -1
* 2S+1: 1
* HOMO energy: -0.0357 hartree
* total energy: -763.340043 Eh

# C4H14N

A 2-piece molecular cluster, C4H14N overall at a distorted geometry (ωB97M-V/def2-TZVPD, the OMol25 dataset).

Structure (XYZ):
```
19
C4H14N | the OMol25 dataset | ωB97M-V/def2-TZVPD
C -1.314 0.593 -2.966
C -1.786 -0.400 -1.925
H -1.381 0.072 -3.968
H -1.778 1.570 -3.064
H -0.259 0.752 -3.224
H -1.825 -0.109 -0.874
H -2.768 -0.591 -2.380
H -1.178 -1.314 -1.898
C 0.638 -0.190 1.496
C 0.836 -0.814 2.869
N 1.692 0.850 1.136
H 0.814 -0.929 0.707
H -0.334 0.283 1.417
H 1.827 -0.611 3.257
H 0.879 -1.905 2.717
H 2.632 0.392 0.916
H 1.379 1.442 0.349
H 1.916 1.552 1.881
H 0.011 -0.644 3.554
```

Results
* net charge: 0
* 2S+1: 2
* HOMO energy (alpha / beta): -0.1363 / -0.4074 hartree
* <S²>: 0.7506
* total energy: -215.391525 Eh
* energy relative to the best compared isomer or geometry (same formula, charge and spin): 1.105 eV

~~~~~

Entry 1:
The following is a DFT calculation (ωB97M-V/def2-TZVPD) of C35H67BeClCsF4N4O8P as an isolated structure in a non-equilibrium geometry.

Each line ends with the Löwdin charge.
CARTESIAN COORDINATES (ANGSTROEM)
C: -0.3465 -3.5732 2.3432  -0.1349
C: 0.3214 -2.4649 1.3039  -0.2496
C: 0.2865 -0.9303 1.8816  -0.2276
C: -0.8095 0.0571 1.1621  -0.2140
C: -2.3149 -0.1799 1.8404  -0.2004
C: -3.5112 0.5684 1.0036  -0.2032
C: -4.8325 -0.4020 0.7137  -0.1417
C: -4.3506 -1.7500 -0.0904  -0.2428
C: -5.5706 -2.6242 -0.7507  -0.1274
C: -5.9463 -2.1872 -2.2854  -0.2174
C: -6.3119 -0.6028 -2.4901  -0.1378
C: -7.7662 -0.1388 -1.8930  -0.3760
C: -7.7136 1.5315 -1.8230  -0.0827
O: -8.0502 -0.5834 -0.5197  -0.1554
C: -4.5948 -2.4789 -3.1997  -0.1163
N: -3.3018 -2.4609 -2.4152  -0.1319
C: -2.1563 -2.3574 -3.4209  -0.1251
C: -1.3314 -0.9420 -3.3621  -0.1933
C: -0.2370 -0.7253 -4.5666  -0.1535
C: 0.5648 0.7363 -4.4682  -0.1811
O: 1.9951 0.6231 -4.8506  -0.1414
C: 2.6966 1.9084 -4.6719  -0.1233